Monday, July 18, 2005

New look......
New site address.....
Same Darryl.
Thank you all for the candid feedback.
This week's rant is not really a rant at all.....The war is still raging on (didn't "W" declare over a year ago that the "war" was over?- when did it start up again...or better yet, when did it stop?)

My real "beef this week is with today's youth. I know I am probably gonna sound "old" but c'mon. ....Look around. Where did the respect go? Does anyone know where the whole "pants hangin off yo a**" style came from? No? Well let me tell ya. Our youth are emulating prison inmates.....That's right. When you get locked up, they take your shoe laces, your belt, etc. -anything you can use to harm yourself or others. This of course, causes your pants to hang-droop- sag. Now I remember as a youth, trying to keep up with the latest trends (one pants leg rolled up- why I don't know; short sleeved mock turtleneck in the summer- I was sweatin my b*&&'s off but I was matchin; wool Kangol hats, etc) but when it came time to go see a "female" (that's what we called'em back in the day- not "B's" and "Hoe's") I made sure I put my best red or blue suede Puma Clyde wearing foot forward.
I was taught from my parents to respect my elders whether they were nice to me or real jerks, I needed to respect them. I needed to respect women (Never strike a woman no matter how mad she gets you). Remove my hat -no matter how my hair looked- when I entered a building. All these things, I might add, I teach my children. It's not about being old-fashioned. It's about being respectful. You give respect. You get respect. When did we get to the point where we tell a girl "Give me Dat"? as opposed to asking her out for a date? (By the way "Give me Dat" is a title of an actual song in heavy rotation now)
What are we teaching our youth? Or better yet, what are YOU teaching our youth?
If you have kids, do you allow them to do, say, or wear whatever they want just because "all the other kids do it"? Videos today show more skin than my older brother's dirty magazine collection from the 1960's (how would I know you ask?....don't ask- smile). Recently, my brother -in-law got into a "scuffle" with a teenager who came by the house trying to "holla" at one of his daughters.
Unrelated to this piece: data records:
┌──
Density functional theory data (the ωB97M-V functional and the def2-TZVPD basis) for B2CuH22O7 as an isolated structure in a non-equilibrium geometry.

Results
HOMO-LUMO gap (spin up / spin down): 8.78 / 6.32 eV
energy above the lowest of the compared OMol25 structures with the same formula, charge and spin: 6.8 kcal/mol
expectation value of S²: 0.75
largest force on an atom: 2.954 eV/Å
2S+1: 2

Each line ends with the Löwdin spin population.
Cartesian coordinates (Å):
Cu 0.00 -1.61 -0.17  0.7273
B 2.28 -0.98 -0.31  0.0738
H 2.07 0.14 -0.44  0.0012
H 1.79 -1.59 -1.14  0.0078
H 3.40 -1.25 -0.32  0.0322
H 1.79 -1.24 0.69  0.0457
B -0.57 0.50 0.71  0.0359
H -1.69 0.28 0.64  0.0026
H -0.52 1.56 1.14  0.0107
H -0.08 -0.31 1.40  0.0131
H -0.10 0.41 -0.35  0.0117
O 2.81 2.19 -1.42  0.0009
H 2.16 1.49 -1.37  0.0001
H 2.93 2.46 -0.50  0.0000
O -0.15 -0.83 -2.54  0.0053
H -0.14 -1.39 -3.33  -0.0001
H 0.18 0.03 -2.84  0.0002
O -2.17 -1.81 -0.10  0.0181
H -2.88 -2.10 -0.69  0.0012
H -2.53 -1.91 0.79  0.0003
O -0.46 2.92 -1.47  0.0001
H -0.55 3.77 -1.02  0.0000
H -0.49 2.26 -0.76  0.0002
O 1.80 1.78 2.12  -0.0001
H 2.01 1.16 2.81  0.0000
H 0.99 1.43 1.70  0.0001
O -4.01 0.72 0.66  0.0008
H -3.04 0.56 0.63  0.0002
H -4.18 1.36 -0.03  0.0000
O -0.21 -3.08 1.55  0.0098
H -0.92 -3.19 2.19  0.0008
H 0.45 -3.74 1.79  0.0000


(1)
{"formula": "C2H12NO2S2", "method": "ωB97M-V/def2-TZVPD", "species": ["N", "C", "C", "S", "S", "H", "H", "H", "H", "H", "H", "H", "H", "H", "H", "O", "H", "H", "O"], "coordinates": [[-0.689, 0.575, 0.611], [-0.060, -0.845, 0.540], [0.552, -1.071, 1.895], [2.329, -0.511, 2.152], [2.680, 0.934, 0.895], [-1.687, 0.604, 0.600], [-0.227, 1.290, -3.111], [-0.345, 1.109, 1.396], [0.532, -1.081, -0.336], [-0.928, -1.490, 0.472], [0.027, -0.610, 2.733], [0.472, -2.131, 2.154], [3.269, 0.176, -0.086], [-1.757, -0.379, -2.315], [-2.784, -1.020, -1.302], [-2.031, -0.411, -1.378], [0.821, 2.234, -2.405], [-0.338, 1.071, -0.222], [0.163, 1.558, -2.294]], "charge": 1, "lumo_ev": -3.11, "homo_ev": -12.598}

***

(2)
└──
When did it become okay to step to a female's pops? Just to paint the picture, the kid was wearing a "wife beater" tanktop (for those of you not up on the latest fashion craze, a wife beater is a plain white, ribbed lined tank top - you know, the kind those guys wear that you see on the news just about every Saturday night that drink Budwieser, wear camoflauge ball caps, and get arrested's the kicker...beating their wives!), pants saggin low enough to see 3/4's of his underwear and a "doo-rag" on his head. Would you let this guy see your daughter?
Look at society as a whole. In my dad's day, guys wore suits EVERYDAY. To be clean was to be cool. Jeans were for po' folk and sneakers were for gym class PERIOD. In my younger days, designer jeans became the fashion craze but we were still c-l-e-a-n. We still wore slacks and button down shirts....ties went by the wayside but our sneakers had to be "Fresh".
Nowadays, the more "thug" or "grimey" you look, the better. Think for a moment (and I'm about to take you back) Remember the movie "Krush Groove"? The scene when Run and D went to talk to Run's dad, the minister, at his church. Run DMC helped take the "hoodlum" look worldwide yet Run's dad made them take there hats off while they were inside the church.
Rap icons knew to listen and respect their elders. When did the disconnect start? Where are the manners our parents taught us? Think hard. I'm sure you were taught better than that.
Dooba and Pumka.....hugs and kisses.